Excerpt:
/*
Entry from the Materials Project database: a geometry-optimized USbPd2 structure (GGA-PBE).

Values from the calculation:
For the energy of formation from the pure elements, the calculation gives -0.434 eV/atom. For the magnetization, the calculation gives 2.3 μB per formula unit. Its energy is -6.8786 eV/atom.

a = 4.847 Å, b = 4.847 Å, c = 4.847 Å
α = 60.00°, β = 60.00°, γ = 60.00°
Fractional positions:
1 U 0.000 0.000 0.000
2 Sb 0.500 0.500 0.500
3 Pd 0.250 0.250 0.250
4 Pd 0.750 0.750 0.750

=====

Entry from the Materials Project database: a geometry-optimized U3Sb4Pd3 structure (GGA-PBE).

Values from the calculation:
For the energy of formation from the pure elements, the calculation gives -0.493 eV/atom. For the magnetization, the calculation gives 6.0 μB per formula unit. Its energy is -7.0865 eV/atom.

a = 8.430 Å, b = 8.430 Å, c = 8.430 Å
α = 109.47°, β = 109.47°, γ = 109.47°
Fractional positions:
1 U 0.125 0.875 0.250
2 U 0.250 0.125 0.875
3 U 0.375 0.625 0.750
4 U 0.625 0.750 0.375
5 U 0.750 0.375 0.625
6 U 0.875 0.250 0.125
7 Sb 0.000 0.171 0.500
8 Sb 0.000 0.671 0.500
9 Sb 0.171 0.500 0.000
10 Sb 0.329 0.329 0.329
11 Sb 0.500 0.000 0.171
12 Sb 0.500 0.000 0.671
13 Sb 0.671 0.500 0.000
14 Sb 0.829 0.829 0.829
15 Pd 0.125 0.750 0.875
16 Pd 0.250 0.625 0.375
17 Pd 0.375 0.250 0.625
18 Pd 0.625 0.375 0.250
19 Pd 0.750 0.875 0.125
20 Pd 0.875 0.125 0.750

=====

Entry 1:
# PmCl3 (meta-GGA r2SCAN, relaxed)
# final energy: -14.43 eV/atom
# space group: No. 194
# energy of formation from the pure elements: -2.433 eV per atom
data_PmCl3
_chemical_formula_sum 'Pm2 Cl6'
_symmetry_space_group_name_H-M 'P 1'
_symmetry_Int_Tables_number 1
_symmetry_space_group_name_Hall 'P 1'
_cell_length_a 9.286
_cell_length_b 9.286
_cell_length_c 3.743
_cell_angle_alpha 90.00
_cell_angle_beta 90.00
_cell_angle_gamma 120.00
loop_
_atom_site_label
_atom_site_type_symbol
_atom_site_fract_x
_atom_site_fract_y
_atom_site_fract_z
Pm1 Pm 0.333 0.667 0.250
Pm2 Pm 0.667 0.333 0.750
Cl1 Cl 0.209 0.418 0.750
Cl2 Cl 0.209 0.791 0.750
Cl3 Cl 0.418 0.209 0.250
Cl4 Cl 0.582 0.791 0.750
Cl5 Cl 0.791 0.209 0.250
Cl6 Cl 0.791 0.582 0.250

Entry 2:
# Cs2CoBr4 (meta-GGA r2SCAN, relaxed)
# final energy: -18.15 eV/atom
# space group: No. 62
# energy of formation from the pure elements: -1.509 eV per atom
data_Cs2CoBr4
_chemical_formula_sum 'Cs8 Co4 Br16'
_symmetry_space_group_name_H-M 'P 1'
_symmetry_Int_Tables_number 1
_symmetry_space_group_name_Hall 'P 1'
_cell_length_a 10.262
_cell_length_b 7.743
_cell_length_c 13.570
_cell_angle_alpha 90.00
_cell_angle_beta 90.00
_cell_angle_gamma 90.00
loop_
_atom_site_label
_atom_site_type_symbol
_atom_site_fract_x
_atom_site_fract_y
_atom_site_fract_z
Cs1 Cs 0.018 0.250 0.170
Cs2 Cs 0.133 0.750 0.406
Cs3 Cs 0.367 0.250 0.906
Cs4 Cs 0.482 0.750 0.670
Cs5 Cs 0.518 0.250 0.330
Cs6 Cs 0.633 0.750 0.094
Cs7 Cs 0.867 0.250 0.594
Cs8 Cs 0.982 0.750 0.830
Co1 Co 0.234 0.750 0.079
Co2 Co 0.266 0.250 0.579
Co3 Co 0.734 0.750 0.421
Co4 Co 0.766 0.250 0.921
Br1 Br 0.002 0.750 0.099
Br2 Br 0.178 0.503 0.654
Br3 Br 0.178 0.997 0.654
Br4 Br 0.183 0.250 0.413
Br5 Br 0.317 0.750 0.913
Br6 Br 0.322 0.003 0.154
Br7 Br 0.322 0.497 0.154
Br8 Br 0.498 0.250 0.599
Br9 Br 0.502 0.750 0.401
Br10 Br 0.678 0.503 0.846
Br11 Br 0.678 0.997 0.846
Br12 Br 0.683 0.250 0.087
Br13 Br 0.817 0.750 0.587
Br14 Br 0.822 0.003 0.346
Br15 Br 0.822 0.497 0.346
Br16 Br 0.998 0.250 0.901

Entry 3:
# RbNiF3 (meta-GGA r2SCAN, relaxed)
# final energy: -9.64 eV/atom
# space group: No. 194
# energy of formation from the pure elements: -2.583 eV per atom
data_RbNiF3
_chemical_formula_sum 'Rb6 Ni6 F18'
_symmetry_space_group_name_H-M 'P 1'
_symmetry_Int_Tables_number 1
_symmetry_space_group_name_Hall 'P 1'
_cell_length_a 5.832
_cell_length_b 5.832
_cell_length_c 14.273
_cell_angle_alpha 90.00
_cell_angle_beta 90.00
_cell_angle_gamma 120.00
loop_
_atom_site_label
_atom_site_type_symbol
_atom_site_fract_x
_atom_site_fract_y
_atom_site_fract_z
Rb1 Rb 0.000 0.000 0.250
*/

Exercise:
Please filter the rows earlier on: keep the lines with the word "Rb".

Written answer:
Rb1 Rb 0.000 0.000 0.250